Ipomoea batatas 'Tricolor' | Tricolor Sweet Potato Vine

Feb 15, 2018


Welcome to Pollen Bank, your trusted source for quality plants and garden essentials. In this article, we will explore the enchanting beauty of the Ipomoea batatas 'Tricolor' or Tricolor Sweet Potato Vine. With its captivating colors and easy-care nature, this plant is a popular choice among garden enthusiasts worldwide.

About Tricolor Sweet Potato Vine

The Tricolor Sweet Potato Vine, scientifically known as Ipomoea batatas, is a stunning decorative plant that belongs to the Convolvulaceae family. It is well-known for its vibrant foliage, featuring eye-catching shades of green, pinkish-red, and creamy white. This trailing vine adds a burst of color and texture to any garden, making it an excellent choice for hanging baskets, containers, or as a ground cover.

Cultivation and Care Tips

Growing and caring for Tricolor Sweet Potato Vine is relatively easy, making it suitable for both experienced gardeners and beginners. Here are some helpful tips to ensure your plant thrives:

1. Light and Location

Tricolor Sweet Potato Vine thrives in bright, indirect sunlight. It is best to place the plant in an area where it can receive around 4-6 hours of sunlight daily. However, it's also important to protect it from intense afternoon sun to prevent leaf scorching. Consider planting it in a location with partial shade for optimal growth.

2. Soil and Watering

This vine prefers well-draining soil that is rich in organic matter. Ensure the soil remains evenly moist but not waterlogged. Overwatering can lead to root rot, so it's essential to strike a balance. Let the top inch of soil dry out before watering again. Adding a layer of mulch around the plant can help retain moisture and suppress weed growth.

3. Fertilizer and Feeding

Tricolor Sweet Potato Vine benefits from regular feeding to maintain lush growth and vibrant foliage. Use a balanced, water-soluble fertilizer once every two weeks during the growing season. Follow the instructions provided by the manufacturer for accurate dosage and application.

4. Pruning and Maintenance

To control the growth and shape of the vine, prune it regularly. Pinch back the tips to encourage bushier growth and remove any dead or wilted leaves to maintain plant health. Tricolor Sweet Potato Vine is a fast grower, so keeping it in check will help you achieve a tidy and visually appealing display.

Why Choose Tricolor Sweet Potato Vine?

There are numerous reasons why Tricolor Sweet Potato Vine is a top choice for gardeners:

1. Stunning Foliage

The multicolored leaves of Tricolor Sweet Potato Vine are its main attraction. The contrasting shades of green, pinkish-red, and cream create a visually striking display, adding instant vibrancy to gardens, balconies, and patios.

2. Versatility

This vine's trailing nature makes it perfect for various gardening purposes. It can be grown as a ground cover to suppress weeds, in hanging baskets to create cascading effects, or as a sprawling plant in containers. Its versatility allows you to get creative with your garden design.

3. Low Maintenance

Between two parts of the text: crystal structures >
'''
# 1
SnRuSe2N: relaxed, PBE-GGA.

Unit cell a=5.3697 b=5.3697 c=3.7484 alpha=90.00 beta=90.00 gamma=90.00
Element x y z (fractional)
N (0.0000, 0.0000, 0.5000)
Se (0.5000, 0.0000, 0.0000)
Se (0.0000, 0.5000, 0.0000)
Sn (0.5000, 0.5000, 0.5000)
Ru (0.0000, 0.0000, 0.0000)

Fermi-level density of states, states/eV per atom: 1.207
E_tot, eV/atom: -5.513
Formation energy (no corrections), eV/atom: 0.202

# 2
AlAg2Sb2: relaxed, PBE-GGA.

Unit cell a=4.3205 b=4.3205 c=7.4169 alpha=73.07 beta=73.07 gamma=90.00
Element x y z (fractional)
Sb (0.7500, 0.2500, 0.5000)
Sb (0.2500, 0.7500, 0.5000)
Ag (0.5979, 0.5979, 0.8042)
Ag (0.4021, 0.4021, 0.1958)
Al (0.0000, 0.0000, 0.0000)

Fermi-level density of states, states/eV per atom: 0.305
E_tot, eV/atom: -3.179
Formation energy (no corrections), eV/atom: 0.359

# 3
Be2PBr: relaxed, PBE-GGA.

Unit cell a=6.7721 b=6.7721 c=6.7721 alpha=149.86 beta=152.24 gamma=41.43
Element x y z (fractional)
Be (0.8808, 0.8808, 0.0000)
Be (0.2219, 0.7219, 0.5000)
Br (0.5910, 0.5910, 0.0000)
P (0.8064, 0.3064, 0.5000)

Fermi-level density of states, states/eV per atom: 0.157
E_tot, eV/atom: -3.456
Formation energy (no corrections), eV/atom: 0.178

# 4
Ca3ThPa2N6: relaxed, PBE-GGA.

Unit cell a=6.2211 b=6.2211 c=6.0870 alpha=99.80 beta=99.80 gamma=120.03
Element x y z (fractional)
N (0.5786, 0.9282, 0.7846)
N (0.4214, 0.0718, 0.2154)
N (0.2760, 0.2760, 0.7815)
N (0.9282, 0.5786, 0.7846)
N (0.7240, 0.7240, 0.2185)
N (0.0718, 0.4214, 0.2154)
Ca (0.5000, 0.5000, 0.5000)
Ca (0.8320, 0.1680, 0.5000)
Ca (0.1680, 0.8320, 0.5000)
Th (0.0000, 0.0000, 0.0000)
Pa (0.3334, 0.6666, 0.0000)
Pa (0.6666, 0.3334, 0.0000)

Fermi-level density of states, states/eV per atom: 0.521
E_tot, eV/atom: -8.310
Formation energy (no corrections), eV/atom: -1.445

# 5
La4Au2Cl3: relaxed, PBE-GGA.

Unit cell a=4.3526 b=4.3526 c=17.3460 alpha=90.06 beta=89.94 gamma=120.00
Element x y z (fractional)
Au (0.6672, 0.3328, 0.7988)
Au (0.3328, 0.6672, 0.2012)
Cl (0.6656, 0.3344, 0.3960)
Cl (0.3344, 0.6656, 0.6040)
Cl (0.0000, 0.0000, 0.0000)
La (0.3337, 0.6663, 0.9010)
La (0.0008, 0.9992, 0.6958)
La (0.9992, 0.0008, 0.3041)
La (0.6663, 0.3337, 0.0990)

Fermi-level density of states, states/eV per atom: 0.804
E_tot, eV/atom: -4.922
Formation energy (no corrections), eV/atom: -1.388

# 6
CePH2Rh: relaxed, PBE-GGA.

Unit cell a=3.8162 b=5.4519 c=6.3920 alpha=90.00 beta=90.00 gamma=110.49
Element x y z (fractional)
H (0.8339, 0.6679, 0.0620)
H (0.8339, 0.6679, 0.4380)
H (0.1661, 0.3321, 0.5620)
H (0.1661, 0.3321, 0.9380)
Rh (0.0000, 0.0000, 0.0000)
Rh (0.0000, 0.0000, 0.5000)
Ce (0.2799, 0.5598, 0.2500)
Ce (0.7201, 0.4402, 0.7500)
P (0.4413, 0.8825, 0.7500)
P (0.5587, 0.1175, 0.2500)

Fermi-level density of states, states/eV per atom: 1.090
E_tot, eV/atom: -5.786

What did the sixth record say?
CePH2Rh: relaxed, PBE-GGA.

Unit cell a=3.8162 b=5.4519 c=6.3920 alpha=90.00 beta=90.00 gamma=110.49
Element x y z (fractional)
H (0.8339, 0.6679, 0.0620)
'''

Tricolor Sweet Potato Vine requires minimal care and attention. Its resilience and adaptability make it an ideal choice for busy individuals or those new to gardening. Once established, it can withstand occasional neglect and still maintain its beauty.

4. Hardy and Drought Tolerant

This vine exhibits relatively good tolerance to drought conditions, making it an excellent choice for regions with limited water availability. Additionally, it can withstand mild frosts, helping it thrive in various climates.

5. Attracts Beneficial Insects

The flowers of Tricolor Sweet Potato Vine attract bees, butterflies, and other pollinators to your garden, contributing to a healthy and balanced ecosystem. Encouraging beneficial insects helps with the overall well-being of your plants and the environment.

In Conclusion

The Ipomoea batatas 'Tricolor' or Tricolor Sweet Potato Vine is undoubtedly a show-stopping addition to any garden. Its captivating foliage, versatility, and low maintenance requirements make it a favorite among garden enthusiasts. Discover the magic of this plant for yourself and create a stunning visual display that will leave others in awe. At Pollen Bank, we offer only the highest quality plants, including the Tricolor Sweet Potato Vine. Start enhancing your garden today!

James Kendall
Wow, the vibrant colors of the Ipomoea batatas 'Tricolor' are absolutely breathtaking! 😍 It's like a work of art in my garden. Can't wait to see it thrive! 🌿🌺
Nov 11, 2023
Jesper Overgaard
Stunning color palette!
Oct 14, 2023